40,000 Firewalls! Help Please!?

While at VMworld I was suddenly hit with a blast of heat generated by the 40,000 VMs running within the VMworld Datacenter of 150 Cisco UCS blades or so. This got me thinking about how would VMsafe fit into this environment and therefore about real virtualization security within the massive quantity of virtual machines possible within a multi-tenant cloud environment. If you use VMsafe within this environment there would be at least 40,000 VMsafe firewalls. If it was expanded to the full load of virtual NICs possible per VM there could be upwards of 400,000 virtual firewalls possible! At this point my head started to spin! I asked this same question on the Virtualization Security Podcast, which I host, and the panel was equally impressed with the numbers. So what is the solution?
Crystal structures from another source follow:
~~~
A geometry-optimized Li2AlFeO4 structure, computed with PBE+U.

```
Li2AlFeO4
1.0
5.038 0.000 0.000
0.000 5.471 0.000
-5.033 0.000 6.430
Li Al Fe O
4 2 2 8
Cartesian
0.000 0.908 0.000
-2.517 4.563 3.215
2.516 1.800 1.589
0.000 3.671 4.804
0.035 0.925 3.202
-2.482 4.546 6.417
-2.496 1.812 4.827
0.021 3.659 1.612
-0.497 1.828 1.749
-3.014 3.643 4.964
-3.002 0.779 6.353
-0.486 4.692 3.138
-0.587 1.728 4.674
1.929 3.742 1.459
1.821 0.989 3.271
4.338 4.482 0.056
```

Results
- DFT formation energy: -20.0 eV/f.u.
- Space group: Pc (7)
- DFT total energy: -6.349 eV/atom
- Offset from the most stable computed form: 0 meV/atom

~~~~~

Entry 1:
# Li4Cu7P6O24 (PBE, relaxed)
data_Li4Cu7P6O24
_cell_length_a 11.077
_cell_length_b 13.950
_cell_length_c 6.254
_cell_angle_alpha 90.00
_cell_angle_beta 104.69
_cell_angle_gamma 90.00
_space_group_name_H-M_alt 'C 1 m 1'
_space_group_IT_number 8
loop_
_space_group_symop_operation_xyz
'x,y,z'
'x,-y,z'
'x+1/2,y+1/2,z'
'x+1/2,-y+1/2,z'
loop_
_atom_site_label
_atom_site_type_symbol
_atom_site_fract_x
_atom_site_fract_y
_atom_site_fract_z
_atom_site_occupancy
Li1 Li 0.000 0.000 0.000 1
Li2 Li 0.174 0.500 0.986 1
Li3 Li 0.358 0.127 0.982 1
Cu1 Cu 0.117 0.187 0.332 1
Cu2 Cu 0.273 0.322 0.696 1
Cu3 Cu 0.445 0.125 0.515 1
Cu4 Cu 0.451 0.500 0.512 1
P1 P 0.039 0.190 0.801 1
P2 P 0.116 0.500 0.441 1
P3 P 0.265 0.000 0.590 1
P4 P 0.344 0.315 0.221 1
O1 O 0.122 0.411 0.601 1
O2 O 0.124 0.168 0.031 1
O3 O 0.126 0.207 0.646 1
O4 O 0.149 0.000 0.676 1
O5 O 0.213 0.500 0.314 1
O6 O 0.258 0.301 0.380 1
O7 O 0.261 0.348 0.996 1
O8 O 0.270 0.091 0.442 1
O9 O 0.384 0.000 0.786 1
O10 O 0.418 0.221 0.218 1
O11 O 0.447 0.399 0.741 1
O12 O 0.448 0.222 0.780 1
O13 O 0.449 0.395 0.296 1
O14 O 0.478 0.000 0.297 1
# Spin magnetization, μB per formula unit: 7.000
# Energy, eV/atom: -6.19
# DFT formation energy, eV per atom: -2.020
# Polymorph energy (0 for the lowest one), eV/f.u.: 0.18


Entry 2:
# LiCu2PO4 (PBE, relaxed)
data_LiCu2PO4
_cell_length_a 5.183
_cell_length_b 6.239
_cell_length_c 5.459
_cell_angle_alpha 90.00
_cell_angle_beta 90.22
_cell_angle_gamma 90.00
_space_group_name_H-M_alt 'P 1 m 1'
_space_group_IT_number 6
loop_
_space_group_symop_operation_xyz
'x,y,z'
'x,-y,z'
loop_
_atom_site_label
_atom_site_type_symbol
_atom_site_fract_x
_atom_site_fract_y
_atom_site_fract_z
_atom_site_occupancy
Li1 Li 0.000 0.250 0.000 1
Cu1 Cu 0.520 0.000 0.126 1
Cu2 Cu 0.522 0.256 0.670 1
Cu3 Cu 0.982 0.500 0.526 1
P1 P 0.017 0.000 0.492 1
P2 P 0.500 0.500 0.147 1
O1 O 0.316 0.000 0.492 1
O2 O 0.383 0.296 0.017 1
O3 O 0.403 0.500 0.417 1
O4 O 0.799 0.500 0.130 1
O5 O 0.914 0.000 0.223 1
O6 O 0.919 0.201 0.637 1
# Spin magnetization, μB per formula unit: 0.000
# Energy, eV/atom: -5.91
# DFT formation energy, eV per atom: -1.843
# Polymorph energy (0 for the lowest one), eV/f.u.: 0.12


Entry 3:
# LiCu2PO4 (PBE, relaxed)
data_LiCu2PO4
_cell_length_a 5.569
_cell_length_b 6.199
_cell_length_c 10.317
_cell_angle_alpha 89.74
_cell_angle_beta 88.81
~~~
End of the crystal structures:
First a few numbers with respect to VMware vSphereTM that need to be made available so that we can start this discussion. First as we have seen in the VMsafe – Vender Implementations at VMworld that a VMsafe based firewall sits between the vSwitch and the vNIC. For the Cisco Nexus 1000v this implies that there is a slight bump in the wire between the Nexus 1000v and the vNIC attached to a specific port on the vSwitch. For the VMware vSwitch this slight bump in the wire sits between the portgroup port and the vNIC.
The numbers we need are that there can be up to 10 vNICs per VM with up to 320 VMs per VMware vSphereTM host. Some simple math gives us a maximum number of 3200 vNICs per host. Granted we will hopefully never actually see this number. Now, there were close to 40,000 VMs within the VMworld 2009 conference datacenter, some most likely had more than 1 vNIC, and most had only one vNIC. You can see that there were close to 40,000 vNICs available when all VMs were turned on. If there were 10 vNICs per VM that number is now 400,000 vNICs or 400,000 bumps in the wire!
Okay, so we take 512 blades add 320 VMs to each blade with 10 vNICs each and you get a whopping 1,638,400 vNICs possible! This means there could actually be maximally 1,638,400 VMsafe firewalls active!   My head is starting to spin with the implications of managing this. The possible problems that arise!
How can anyone manage, using current tools, that many VMsafe based firewalls. Can you actually visualize that many appliances, VMs, vApps, etc. within any one tool?  40,000 VMs is hard to envision managing, but now add to that VMsafe appliances and management issues will arise. This does not consider the port security inherent within the Cisco Nexus 1000V or the dvFilter capability within the Virtual Distributed Switch, which add their own management layers to this problem. 40,000 or 1,638,400 ports and vNICs, I think the management problems dealing with security are the same.
The solution is to use one of the available VMsafe management tools and to apply codified security policies in a hierarchical method. If each of these 40,000 vNICs shared the same codified security policy then there would only be one policy to implement 40,000 times. Well actually once per host involved or in the case of the VMworld conference data center, that is 512 times. That is more reasonable to me. However, if there are 10 codified policies, then we need to implement this 5120 times. 10 codified policies per host.
~~~
Bi12PbO20 (r2SCAN, relaxed); size of the total moment = 0.0 μB/cell; raw total energy = -919.91 eV for the cell shown; energy relative to the elements = -1.277 eV/atom
1.0
-5.130 5.130 5.130
5.130 -5.130 5.130
5.130 5.130 -5.130
Bi Pb O
12 1 20
Direct
0.145 0.307 0.810 Bi
0.162 0.855 0.665 Bi
0.190 0.497 0.335 Bi
0.307 0.810 0.145 Bi
0.335 0.190 0.497 Bi
0.497 0.335 0.190 Bi
0.503 0.693 0.838 Bi
0.665 0.162 0.855 Bi
0.693 0.838 0.503 Bi
0.810 0.145 0.307 Bi
0.838 0.503 0.693 Bi
0.855 0.665 0.162 Bi
0.000 0.000 0.000 Pb
0.000 0.000 0.234 O
0.000 0.000 0.628 O
0.000 0.234 0.000 O
0.000 0.628 0.000 O
0.114 0.757 0.377 O
0.234 0.000 0.000 O
0.243 0.357 0.620 O
0.263 0.643 0.886 O
0.357 0.620 0.243 O
0.372 0.372 0.372 O
0.377 0.114 0.757 O
0.380 0.737 0.623 O
0.620 0.243 0.357 O
0.623 0.380 0.737 O
0.628 0.000 0.000 O
0.643 0.886 0.263 O
0.737 0.623 0.380 O
0.757 0.377 0.114 O
0.766 0.766 0.766 O
0.886 0.263 0.643 O

=====

1.
Zn2Fe9O13 | GGA+U | relaxed

Cell lengths 5.2707, 5.2707, 17.2411 Å; angles 82.00, 82.00, 32.90 degrees
Last column: nearest neighbours and their distance in Å.
Fractional coordinates of all 24 atoms:
1 O 0.0000 0.0000 0.0000  4 Fe 2.18
2 O 0.8577 0.8577 0.4627  5 Fe 2.07-2.23
3 O 0.1499 0.1499 0.2286  2 Fe 1.99, 2 Zn 2.05
4 O 0.3784 0.3784 0.6061  5 Fe 2.05-2.28
5 O 0.1423 0.1423 0.5373  5 Fe 2.07-2.23
6 O 0.6216 0.6216 0.3939  5 Fe 2.05-2.28
7 O 0.5873 0.5873 0.8550  3 Fe 1.93-2.14
8 O 0.7121 0.7121 0.0655  5 Fe 2.05-2.28
9 O 0.6333 0.6333 0.6848  3 Fe 1.95-2.14
10 O 0.8501 0.8501 0.7714  2 Fe 1.99, 2 Zn 2.05
11 O 0.4127 0.4127 0.1450  3 Fe 1.93-2.14
12 O 0.3667 0.3667 0.3152  3 Fe 1.95-2.14
13 O 0.2879 0.2879 0.9345  5 Fe 2.05-2.28
14 Fe 0.2518 0.2518 0.4161  5 O 1.95-2.07
15 Fe 0.9851 0.9851 0.6755  3 O 1.99-2.14
16 Fe 0.5000 0.5000 0.5000  6 O 2.05-2.23
17 Fe 0.9333 0.9333 0.8690  3 O 1.99-2.14
18 Fe 0.7482 0.7482 0.5839  5 O 1.95-2.07
19 Fe 0.6489 0.6489 0.9559  4 O 1.93-2.08
20 Fe 0.3511 0.3511 0.0441  4 O 1.93-2.08
21 Fe 0.0149 0.0149 0.3245  3 O 1.99-2.14
22 Fe 0.0667 0.0667 0.1310  3 O 1.99-2.14
23 Zn 0.7891 0.7891 0.2297  2 O 2.05
24 Zn 0.2109 0.2109 0.7703  2 O 2.05

- Energy: -150.4 eV for the cell shown
- Formation energy: -1.524 eV/atom
- M_tot: 40.001 μB/cell
- SG: C2/m, No. 12
- Energy with MP2020 corrections: -7.49 eV/atom

2.
BaMnGaF7 | GGA+U | relaxed

Cell lengths 7.5032, 7.5032, 14.9132 Å; angles 88.92, 88.92, 41.99 degrees
Last column: nearest neighbours and their distance in Å.
Fractional coordinates of all 40 atoms:
1 F 0.5261 0.3605 0.6285  2 Mn 2.11
2 F 0.8419 0.3984 0.7027  1 Ga 1.90
3 F 0.1908 0.3054 0.5894  1 Ga 1.90
4 F 0.3605 0.5261 0.1285  2 Mn 2.11
5 F 0.3054 0.1908 0.0894  1 Ga 1.90
6 F 0.9113 0.2529 0.5195  1 Ga 1.92, 1 Mn 2.13
7 F 0.8092 0.6946 0.4106  1 Ga 1.90
8 F 0.1161 0.8951 0.8414  1 Ga 1.90
9 F 0.4739 0.6395 0.3715  2 Mn 2.11
10 F 0.0887 0.7471 0.4805  1 Ga 1.92, 1 Mn 2.13
11 F 0.1700 0.5723 0.9535  1 Ga 1.98
12 F 0.0501 0.6208 0.7781  1 Ga 1.95
13 F 0.6208 0.0501 0.2781  1 Ga 1.95
~~~
Wait, did I not say there are 40,000 vNICs? How are we now done to just 512 VMsafe firewalls instances? Because VMsafe firewalls hook into the hypervisor directly and are called for every packet transferring to a vNIC. The real management headaches occur when there are many codified security policies. Not only will there be management issues, but I envision there would be severe performance issues as each of the VMsafe kernel modules tries to traverse each codified security policy to determine what to do with the packet of data.
How will this be an issue? Think of multi-tenant cloud providers where they need to keep company A from company B’s data and visa vera. Expand that to 40,000 tenants. You may then have 40,000 codified security policies that in their entirety may live on a single VMware vSphereTM host? Why is this case, because on of those 40,000 tenants could easily end up on any given host given the dynamic nature of vSphereTM servers. So now we have management and performance issue.
Is there any help out there to solve this problem? Yes, two vendors have products now that codify security policies for use with VMsafe and more are on their way. Those are Altor Network’s VF3.0 and Reflex Systems VMC w/vTrust. While they approach management differently they both provide the necessary framework that will aid in managing large array of systems. Altor’s is definitely not as graphical as Reflex’s VMC but both are strong contenders and should be considered if you are moving to VMware vSphereTM and wish to use VMsafe to improve your overall virtualization security.
Even so, it is important with 40,000 tenants that you split the problem into something easily manageable, that will NOT impact performance. To do this, you may need to manage the system differently and tag systems for specific tenants instead of allowing every tenant to move to any hosts. Such a tool exists today from HyTrust. HyTrust will allow you to create tags on all your objects such as VMs, Networks, and Hosts and only allow tagged VMs onto Hosts and Networks tagged with the same tag ID (which you create).
It may be necessary, therefore, to combine the currently available virtualization security products so that you can divide the problem into manageable pieces that can be managed by other products. One solution is to use HyTrust in conjunction with tools from either Altor Networks VF3.0 or Reflex Systems VMC with vTrust.